Posted in: Comics | Tagged: cancellations, captain america: sam wilson, chip zdarsky, Comics, Ian Herring, Jeff Loveness, kris anka, marvel, Matt Wilson, nova, ramon perez, sales, sales figures, secret empire, star-lord, Unbeatable Squirrel Girl
Are Marvel's Comics Suffering From Premature Cancellation?
Yesterday, Bleeding Cool ran the news that yet another young series from Marvel is getting the chop, this time the current run of Nova, featuring both iterations of the character, by Jeff Loveness and Ramon Pérez with Ian Herring.
Hot off the heels of the cancellation of Star-Lord, by Chip Zdarsky, Kris Anka and Matt Wilson, with today's issue six, we see yet another fantastic series ended before it's time – and I for one am not happy about it.
Firstly, let's start with the fact that both these series are ending after just seven and six issues, respectfully. Neither were billed as limited series, and certainly the creative teams have pretty much overtly intimated it wasn't sold as such to them either. We know that for some reason, Marvel views the term 'limited series' as an immediate death knell, and so will often bill a series as ongoing when it is intended as a limited series. Maybe there's sales figures to that, though I would wonder if individual issue sales may be lower but collected editions potentially high – the desire to 'wait for trade' may be higher with a limited series.
But what is, frankly, a rather bum move on Marvel's part is that they don't seem to be telling creators that these are considered to be limited runs, and are setting them up for new ongoings. And if Marvel are intending them as ongoing themselves, but then using sales figures to decide to end early, this again is not beneficial to the creators or the readers.
How can this possibly allow a book time to find and build an audience? There are many readers who will pick up a first issue and drop it, sure, but there's also many who'll wait a couple of issues to see how it's received before deciding to get involved themselves. Not to mention, many of those who drop off from issue one may in fact have liked what they read but decided to wait for trade, because with the numerous and constant events Marvel runs, and limited budgets readers have for their passion, they have to spend their weekly cash on the books that 'matter' to the overarching thread of the Marvel Universe event of the moment.
Series like Star-Lord and Nova which may not have any direct connection to the major events in Marvel then will not see the same sales figures as say Avengers or Amazing Spider-Man. Yet, I'd argue these titles were two of the best books Marvel were putting out creatively, and certainly better than the frankly formulaic Avengers or constant-shock-dropping of Amazing Spider-Man.
These series have not been allowed time to breathe. To allow new readers to find the series after the start. And they're not helped by the fact that these books are often coming fast of an already rebooted/retooled version. Nova, for example, was a new issue one coming directly off the last Nova series with a different creative team and direction.
Many readers feel simply 'what is the point?'. Why buy into a brand new series, which likely is coming straight off the back of the last 'brand new series', when in all likelihood it's just going to be cancelled after six issues, no matter how good it is. The decision to the money-conscious consumer is instead going to be 'wait for trade' or 'forget about it', no matter who is involved or what characters are in play.
And this clearly has no bearing on the quality of the product. Both titles are absolutely gorgeous, with some of the most beautiful, well-thought and consistent artwork of any of Marvel's other books. When they have events with other titles with constant fill-in artists, to have these series have a consistent creative vision throughout has been amazing. And a book like Nova should have been a perfect fit for Marvel's seeming upcoming plan to have the legacy characters along with the original characters all in one place: this book literally stars original Richard Rider with more diverse legacy Sam Alexander.
Weirdly, the sales figures for the books are far from abysmal. Nova's second issue outsold Captain America: Sam Wilson. In the same month, Star-Lord outsold Unbeatable Squirrel Girl and Thunderbolts. Nova continued to outsell Captain America: Sam Wilson the following month, along with Uncanny Inhumans. So these titles were beating some of the books that Marvel had tying into their major events, including the big Summer event of Secret Empire.
Who exactly do Marvel think they are helping here? Fans? What fan would buy a new series with knowing at the back of their mind that it's likely just going to end abruptly in a few months? The creative team? How can they be expected to make a well-crafted story with beginning, middle and end, when they're sold long-term story space only to be shortened on short notice (the Star-Lord team have managed it, but there have been many which have not)? Marvel themselves? Why would it? They could put out 50+ titles, but people will just start buying the same ten, the ones they know are safe.
Yes, Marvel is a business, and yes a sure way to help keep a book going is to add it to your pull list to guarantee sales. But people are not sheep, and not all will buy the same way, with most not likely to blindly buy without at least waiting for word of mouth and maybe critical reviews to give them an idea of what to expect and if this book will be worth them parting with their hard earned cash.
Entry 1:
Structure and theoretical powder diffraction line list of Cs2AcZr2O7 (a GGA-PBE-relaxed structure; λ = 1.5418 Å (Cu Kα)).
Kinematic intensities with the Lorentz-polarization factor, no thermal factor.

Atomic structure:
```
data_Cs2AcZr2O7
_chemical_formula_sum 'Cs4 Ac2 Zr4 O14'
_cell_length_a 4.198
_cell_length_b 4.198
_cell_length_c 24.760
_cell_angle_alpha 90.00
_cell_angle_beta 90.00
_cell_angle_gamma 90.00
_symmetry_space_group_name_H-M 'I 4/m m m'
_symmetry_Int_Tables_number 139
_symmetry_space_group_name_Hall '-I 4 2'
loop_
_atom_site_label
_atom_site_type_symbol
_atom_site_fract_x
_atom_site_fract_y
_atom_site_fract_z
Cs1 Cs 0.000 0.000 0.193
Ac1 Ac 0.000 0.000 0.000
Zr1 Zr 0.000 0.000 0.410
O1 O 0.000 0.000 0.330
O2 O 0.000 0.000 0.500
O3 O 0.000 0.500 0.073
```

Peak list (12 most intense, 10° ≤ 2θ ≤ 90°, sorted by position)
two_theta	I_rel	h k l
21.49	10	0 0 6
27.86	100	1 0 5
30.11	46	1 1 0
36.28	12	0 0 10
37.32	11	1 1 6
43.10	24	2 0 0
47.84	23	1 1 10
52.10	36	2 1 5
57.57	13	2 0 10
60.25	9	1 0 15
82.44	9	3 1 10
85.72	9	3 2 5

Entry 2:
Structure and theoretical powder diffraction line list of Pr3Np (a GGA-PBE-relaxed structure; λ = 1.5418 Å (Cu Kα)).
Kinematic intensities with the Lorentz-polarization factor, no thermal factor.

Atomic structure:
```
data_Pr3Np
_chemical_formula_sum 'Pr3 Np1'
_cell_length_a 5.111
_cell_length_b 5.111
_cell_length_c 5.111
_cell_angle_alpha 90.00
_cell_angle_beta 90.00
_cell_angle_gamma 90.00
_symmetry_space_group_name_H-M 'P m -3 m'
_symmetry_Int_Tables_number 221
_symmetry_space_group_name_Hall '-P 4 2 3'
loop_
_atom_site_label
_atom_site_type_symbol
_atom_site_fract_x
_atom_site_fract_y
_atom_site_fract_z
Pr1 Pr 0.000 0.000 0.500
Np1 Np 0.500 0.500 0.500
```

Peak list (12 most intense, 10° ≤ 2θ ≤ 90°, sorted by position)
two_theta	I_rel	h k l
17.35	5	1 0 0
24.63	4	1 1 0
30.29	100	1 1 1
35.12	51	2 0 0
39.42	3	2 1 0
43.37	2	2 1 1
50.51	37	2 2 0
60.03	44	3 1 1
63.00	13	2 2 2
74.22	6	4 0 0
82.21	18	3 3 1
84.84	17	4 2 0

Entry 3:
Structure and theoretical powder diffraction line list of Sb2Te5P2 (a GGA-PBE-relaxed structure; λ = 1.5418 Å (Cu Kα)).
Kinematic intensities with the Lorentz-polarization factor, no thermal factor.

Atomic structure:
```
data_Sb2Te5P2
_chemical_formula_sum 'Sb2 Te5 P2'
_cell_length_a 4.3314
_cell_length_b 4.3314
_cell_length_c 15.7973
_cell_angle_alpha 90.00
_cell_angle_beta 90.00
_cell_angle_gamma 120.00
_symmetry_space_group_name_H-M 'P -3 m 1'
_symmetry_Int_Tables_number 164
_symmetry_space_group_name_Hall '-P 3 2"'
loop_
_atom_site_label
_atom_site_type_symbol
_atom_site_fract_x
_atom_site_fract_y
_atom_site_fract_z
Sb1 Sb 0.3333 0.6667 0.1245
Te1 Te 0.0000 0.0000 0.0000
Te2 Te 0.3333 0.6667 0.4285
Te3 Te 0.3333 0.6667 0.7651
P1 P 0.0000 0.0000 0.3504
```

Peak list (12 most intense, 10° ≤ 2θ ≤ 90°, sorted by position)
two_theta	I_rel	h k l
23.72	6	1 0 0
26.30	7	0 1 2
29.23	100	0 1 3
32.93	5	1 0 4
41.71	37	1 1 0
41.92	28	1 0 6
51.74	20	2 0 3
60.62	9	0 2 6
Sadly, with Marvel's current business model, by that point the title's over.